Data >
# 1
Entry from Materials Project: a relaxed structure of BaGdFe4O7 (PBE+U).

The structure in POSCAR format:
```
BaGdFe4O7
1.0
3.2405 -5.7112 0.0000
3.2405 5.7112 0.0000
0.0000 0.0000 10.6305
Gd O Fe Ba
2 14 8 2
direct
0.3393 0.6607 0.8731 Gd
0.6607 0.3393 0.3731 Gd
0.0077 0.9923 0.2420 O
0.5183 0.0020 0.7454 O
0.3395 0.1322 0.5008 O
0.5213 0.4787 0.7832 O
0.9980 0.4817 0.7454 O
0.8678 0.6605 0.5008 O
0.4787 0.5213 0.2832 O
0.8352 0.1648 0.5004 O
0.9923 0.0077 0.7420 O
0.0020 0.5183 0.2454 O
0.1322 0.3395 0.0008 O
0.6605 0.8678 0.0008 O
0.1648 0.8352 0.0004 O
0.4817 0.9980 0.2454 O
0.3468 0.1755 0.6862 Fe
0.1667 0.8333 0.1795 Fe
0.1755 0.3468 0.1862 Fe
0.8333 0.1667 0.6795 Fe
0.8245 0.6532 0.6862 Fe
0.9947 0.0053 0.9404 Fe
0.0053 0.9947 0.4404 Fe
0.6532 0.8245 0.1862 Fe
0.3068 0.6932 0.4797 Ba
0.6932 0.3068 0.9797 Ba
```

Properties
crystal system	orthorhombic
formation energy	-28.6	eV/f.u.
calculated density	5.317	Mg/m³
total magnetic moment	1.85	μB per atom
space-group type	Cmc2_1


# 2
Entry from Materials Project: a relaxed structure of Ba2FeGe2O7 (PBE+U).

The structure in POSCAR format:
```
Ba2FeGe2O7
1.0
8.6109 0.0000 0.0000
0.0000 8.6109 0.0000
0.0000 0.0000 11.1518
Ba O Fe Ge
8 28 4 8
direct
0.6662 0.8338 0.9960 Ba
0.6662 0.8338 0.4960 Ba
0.1662 0.6662 0.0040 Ba
0.3338 0.1662 0.9960 Ba
0.8338 0.3338 0.5040 Ba
0.8338 0.3338 0.0040 Ba
0.3338 0.1662 0.4960 Ba
0.1662 0.6662 0.5040 Ba
0.0790 0.1877 0.8420 O
0.5000 0.0000 0.6691 O
0.8638 0.6362 0.6121 O
0.3123 0.4210 0.8420 O
0.1877 0.9211 0.1580 O
0.0000 0.5000 0.8309 O
0.1362 0.3638 0.6121 O
0.6877 0.5789 0.8420 O
0.5789 0.3123 0.1580 O
0.1362 0.3638 0.1121 O
0.8638 0.6362 0.1121 O
0.8123 0.0789 0.1580 O
0.9210 0.8123 0.8420 O
0.0000 0.5000 0.3309 O
0.6877 0.5790 0.3420 O
0.6362 0.1362 0.8879 O
0.4211 0.6877 0.1580 O
0.3638 0.8638 0.3879 O
0.8123 0.0789 0.6580 O
0.4211 0.6877 0.6580 O
0.1877 0.9211 0.6580 O
0.6362 0.1362 0.3879 O
0.9211 0.8123 0.3420 O
0.5000 0.0000 0.1691 O
0.3123 0.4210 0.3420 O
0.5789 0.3123 0.6580 O
0.3638 0.8638 0.8879 O
0.0790 0.1877 0.3420 O
0.5000 0.5001 0.2500 Fe
0.9999 0.0000 0.2500 Fe
0.5000 0.4999 0.7500 Fe
0.0000 0.0001 0.7500 Fe
0.6388 0.1388 0.2315 Ge
0.6388 0.1388 0.7315 Ge
0.1388 0.3612 0.7685 Ge
0.3612 0.8612 0.2315 Ge
0.3612 0.8612 0.7315 Ge
0.8612 0.6388 0.2685 Ge
0.1388 0.3612 0.2685 Ge
0.8612 0.6388 0.7685 Ge
```

Properties
formation energy	-30.4	eV/f.u.
calculated density	4.721	Mg/m³


# 3
Entry from Materials Project: a relaxed structure of Ba3Fe2Ge4O14 (PBE+U).

The structure in POSCAR format:
```
Ba3Fe2Ge4O14
1.0
-5.0921 -4.6822 5.2236
3.3437 -6.4041 4.7901
0.9008 3.3983 4.0314
Ba O Ge Fe
3 14 4 2
direct
0.4181 0.9962 0.0042 Ba
0.0038 0.5819 0.9958 Ba
0.5749 0.4251 0.0000 Ba
0.2988 0.5289 0.6575 O
0.5387 0.1553 0.6457 O
0.7066 0.8350 0.3501 O
0.4711 0.7012 0.3425 O
0.1650 0.2934 0.6499 O
0.8447 0.4613 0.3543 O
0.2159 0.9042 0.7751 O
0.8843 0.2219 0.7585 O
0.7781 0.1157 0.2415 O
0.8933 0.8920 0.7495 O
0.1080 0.1067 0.2505 O
0.0958 0.7841 0.2249 O
0.6707 0.6656 0.8140 O
0.3344 0.3293 0.1860 O
0.3342 0.3323 0.5085 Ge
0.6677 0.6658 0.4915 Ge
0.7550 0.9985 0.4937 Ge
0.0015 0.2450 0.5063 Ge
0.2362 0.7638 0.5000 Fe
0.0030 0.9970 0.0000 Fe
```

Properties
crystal system	monoclinic
formation energy	-55.3	eV/f.u.
calculated density	4.972	Mg/m³
total magnetic moment	0.43	μB per atom
space-group type	C2


# 4
Entry from Materials Project: a relaxed structure of BaFeP3H2O11 (PBE+U).

The structure in POSCAR format:
```
BaFeP3H2O11
1.0
0.0764 -0.0043 6.9739
7.7402 -0.0308 -0.8449
-2.7811 8.2051 -1.7473
O P H Ba Fe
22 6 4 2 2
direct
0.4101 0.8340 0.8597 O
0.9553 0.2957 0.7735 O
0.7385 0.4157 0.0478 O
0.6254 0.0753 0.6785 O
0.3745 0.9242 0.3215 O
0.6617 0.3314 0.5652 O
0.0462 0.7027 0.2240 O
0.3320 0.6716 0.4381 O
0.9909 0.9452 0.8505 O
0.2765 0.2725 0.3624 O
0.3739 0.4966 0.6887 O
0.1445 0.9351 0.5120 O
0.7191 0.7211 0.6308 O
0.1465 0.3342 0.0966 O
0.6236 0.5010 0.3086 O
0.0671 0.6428 0.6949 O
0.9998 0.0487 0.1396 O
0.8517 0.6592 0.8983 O

Job >
Transcribe everything further above unchanged.

Solution >
# 1
Entry from Materials Project: a relaxed structure of BaGdFe4O7 (PBE+U).

The structure in POSCAR format:
```
BaGdFe4O7
1.0
3.2405 -5.7112 0.0000
3.2405 5.7112 0.0000
0.0000 0.0000 10.6305
Gd O Fe Ba
2 14 8 2
direct
0.3393 0.6607 0.8731 Gd
0.6607 0.3393 0.3731 Gd
0.0077 0.9923 0.2420 O
0.5183 0.0020 0.7454 O
0.3395 0.1322 0.5008 O
0.5213 0.4787 0.7832 O
0.9980 0.4817 0.7454 O
0.8678 0.6605 0.5008 O
0.4787 0.5213 0.2832 O
0.8352 0.1648 0.5004 O
0.9923 0.0077 0.7420 O
0.0020 0.5183 0.2454 O
0.1322 0.3395 0.0008 O
0.6605 0.8678 0.0008 O
0.1648 0.8352 0.0004 O
0.4817 0.9980 0.2454 O
0.3468 0.1755 0.6862 Fe
0.1667 0.8333 0.1795 Fe
0.1755 0.3468 0.1862 Fe
0.8333 0.1667 0.6795 Fe
0.8245 0.6532 0.6862 Fe
0.9947 0.0053 0.9404 Fe
0.0053 0.9947 0.4404 Fe
0.6532 0.8245 0.1862 Fe
0.3068 0.6932 0.4797 Ba
0.6932 0.3068 0.9797 Ba
```

Properties
crystal system	orthorhombic
formation energy	-28.6	eV/f.u.
calculated density	5.317	Mg/m³
total magnetic moment	1.85	μB per atom
space-group type	Cmc2_1


# 2
Entry from Materials Project: a relaxed structure of Ba2FeGe2O7 (PBE+U).

The structure in POSCAR format:
```
Ba2FeGe2O7
1.0
8.6109 0.0000 0.0000
0.0000 8.6109 0.0000
0.0000 0.0000 11.1518
Ba O Fe Ge
8 28 4 8
direct
0.6662 0.8338 0.9960 Ba
0.6662 0.8338 0.4960 Ba
0.1662 0.6662 0.0040 Ba
0.3338 0.1662 0.9960 Ba
0.8338 0.3338 0.5040 Ba
0.8338 0.3338 0.0040 Ba
0.3338 0.1662 0.4960 Ba
0.1662 0.6662 0.5040 Ba
0.0790 0.1877 0.8420 O
0.5000 0.0000 0.6691 O
0.8638 0.6362 0.6121 O
0.3123 0.4210 0.8420 O
0.1877 0.9211 0.1580 O
0.0000 0.5000 0.8309 O
0.1362 0.3638 0.6121 O
0.6877 0.5789 0.8420 O
0.5789 0.3123 0.1580 O
0.1362 0.3638 0.1121 O
0.8638 0.6362 0.1121 O
0.8123 0.0789 0.1580 O
0.9210 0.8123 0.8420 O
0.0000 0.5000 0.3309 O
0.6877 0.5790 0.3420 O
0.6362 0.1362 0.8879 O
0.4211 0.6877 0.1580 O
0.3638 0.8638 0.3879 O
0.8123 0.0789 0.6580 O
0.4211 0.6877 0.6580 O
0.1877 0.9211 0.6580 O
0.6362 0.1362 0.3879 O
0.9211 0.8123 0.3420 O
0.5000 0.0000 0.1691 O
0.3123 0.4210 0.3420 O
0.5789 0.3123 0.6580 O
0.3638 0.8638 0.8879 O
0.0790 0.1877 0.3420 O
0.5000 0.5001 0.2500 Fe
0.9999 0.0000 0.2500 Fe
0.5000 0.4999 0.7500 Fe
0.0000 0.0001 0.7500 Fe
0.6388 0.1388 0.2315 Ge
0.6388 0.1388 0.7315 Ge
0.1388 0.3612 0.7685 Ge
0.3612 0.8612 0.2315 Ge
0.3612 0.8612 0.7315 Ge
0.8612 0.6388 0.2685 Ge
0.1388 0.3612 0.2685 Ge
0.8612 0.6388 0.7685 Ge
```

Properties
formation energy	-30.4	eV/f.u.
calculated density	4.721	Mg/m³


# 3
Entry from Materials Project: a relaxed structure of Ba3Fe2Ge4O14 (PBE+U).

The structure in POSCAR format:
```
Ba3Fe2Ge4O14
1.0
-5.0921 -4.6822 5.2236
3.3437 -6.4041 4.7901
0.9008 3.3983 4.0314
Ba O Ge Fe
3 14 4 2
direct
0.4181 0.9962 0.0042 Ba
0.0038 0.5819 0.9958 Ba
0.5749 0.4251 0.0000 Ba
0.2988 0.5289 0.6575 O
0.5387 0.1553 0.6457 O
0.7066 0.8350 0.3501 O
0.4711 0.7012 0.3425 O
0.1650 0.2934 0.6499 O
0.8447 0.4613 0.3543 O
0.2159 0.9042 0.7751 O
0.8843 0.2219 0.7585 O
0.7781 0.1157 0.2415 O
0.8933 0.8920 0.7495 O
0.1080 0.1067 0.2505 O
0.0958 0.7841 0.2249 O
0.6707 0.6656 0.8140 O
0.3344 0.3293 0.1860 O
0.3342 0.3323 0.5085 Ge
0.6677 0.6658 0.4915 Ge
0.7550 0.9985 0.4937 Ge
0.0015 0.2450 0.5063 Ge
0.2362 0.7638 0.5000 Fe
0.0030 0.9970 0.0000 Fe
```

Properties
crystal system	monoclinic
formation energy	-55.3	eV/f.u.
calculated density	4.972	Mg/m³
total magnetic moment	0.43	μB per atom
space-group type	C2


# 4
Entry from Materials Project: a relaxed structure of BaFeP3H2O11 (PBE+U).

The structure in POSCAR format:
```
BaFeP3H2O11
1.0
0.0764 -0.0043 6.9739
7.7402 -0.0308 -0.8449
-2.7811 8.2051 -1.7473
O P H Ba Fe
22 6 4 2 2
direct
0.4101 0.8340 0.8597 O
0.9553 0.2957 0.7735 O
0.7385 0.4157 0.0478 O
0.6254 0.0753 0.6785 O
0.3745 0.9242 0.3215 O
0.6617 0.3314 0.5652 O
0.0462 0.7027 0.2240 O
0.3320 0.6716 0.4381 O
0.9909 0.9452 0.8505 O
0.2765 0.2725 0.3624 O
0.3739 0.4966 0.6887 O
0.1445 0.9351 0.5120 O
0.7191 0.7211 0.6308 O
0.1465 0.3342 0.0966 O
0.6236 0.5010 0.3086 O
0.0671 0.6428 0.6949 O
0.9998 0.0487 0.1396 O
0.8517 0.6592 0.8983 O